It was just an ordinary morning filled with extraordinary little moments. That happens when I step out of myself and into the flow of the day, heart full of God’s Word, eyes and ears open, watching, listening.
If there hadn’t been a lakefront full of smelly dead fish (that Fannie had a fancy for) I would not have decided to go to Riverside Park instead on that crisp, breezy, blue sky, summer morning.
If I hadn’t lost my cap as we walked (my favorite cap), I wouldn’t have turned back to retrace our steps.
If Fannie hadn’t decided to stop and lay down at just that moment—if I had made her walk instead—I wouldn’t have been in the right spot at the right time to hear, “Miss Debbie!” and I wouldn’t have been able to catch up with my sweet former ballet student, Halea, who I often think about, just as she was picking up Thai food. I hadn’t seen her in years. How I loved that girl from day one!
And I wonder, what if our best lives happen in the smallest unplanned moments when we let go of our best planned daily agendas?
Because the more I do, the more I find that my eyes and ears are open to what is taking place around me in my ordinary life, and can hardly believe the little glades of sunlight and flowers I find along the way, regardless of how good or bad my day might be going. The more I follow, the more I find life taking me in the direction of the places and people I love and want to be with.
I used to wonder how amazing things just seemed to happen to certain truly amazing people.
## Records of molecules from another source follow
+++
*1*
Density functional theory data (ωB97M-V with the def2-TZVPD basis set) for 2 unconnected molecules or ions with the total composition C5H14.

Positions of all 19 atoms, in Å:
C 0.400 -1.932 -1.531
C -0.710 -0.964 -1.079
C -0.503 0.439 -1.636
H 0.435 -2.826 -0.911
H 1.385 -1.557 -1.280
H 0.340 -2.191 -2.580
H -1.679 -1.350 -1.365
H -0.779 -0.996 -0.002
H 0.078 1.100 -1.006
H 0.018 0.385 -2.641
H -1.358 1.061 -1.976
C 0.174 0.412 2.399
C 0.453 1.697 1.611
H 0.685 -0.375 1.851
H 0.368 0.571 3.460
H -0.904 0.177 2.607
H 1.075 1.603 0.722
H 0.948 2.527 2.139
H -0.427 2.220 1.219

E_HOMO: -11.17 eV
E_LUMO: 1.16 eV
SMILES: CCC.CC
Total charge: 0

***

*2*
Density functional theory data (ωB97M-V with the def2-TZVPD basis set) for 2 unconnected molecules or ions with the total composition C5H14.

Positions of all 19 atoms, in Å:
C -0.928 1.472 1.342
C -1.067 -0.016 1.220
C -2.159 -0.624 2.139
H -1.796 2.021 0.977
H -0.089 1.871 0.765
H -0.734 1.769 2.375
H -1.306 -0.310 0.196
H -0.140 -0.532 1.473
H -2.622 -1.463 1.632
H -1.723 -0.885 3.105
H -2.903 0.115 2.425
C 1.379 -0.314 -1.702
C 2.481 -0.549 -2.740
H 0.913 0.665 -1.765
H 0.597 -1.043 -1.669
H 1.853 -0.384 -0.735
H 2.196 -0.151 -3.716
H 2.663 -1.614 -2.877
H 3.385 -0.029 -2.443

E_HOMO: -11.37 eV
E_LUMO: 1.11 eV
SMILES: CCC.CC
Total charge: 0

***

*3*
Density functional theory data (ωB97M-V with the def2-TZVPD basis set) for 2 unconnected molecules or ions with the total composition C5H14.

Positions of all 19 atoms, in Å:
C -0.906 -1.147 -2.018
C -0.897 0.388 -2.025
C -1.746 0.955 -0.899
H -1.724 -1.577 -2.609
H -0.007 -1.587 -2.441
H -1.001 -1.583 -1.016
H 0.138 0.712 -1.958
H -1.327 0.726 -2.970
H -1.423 0.588 0.088
H -1.698 2.046 -0.823
H -2.796 0.666 -1.010
C 1.515 0.449 1.656
C 1.821 -0.517 2.791
H 1.254 -0.068 0.723
H 0.669 1.118 1.829
H 2.407 1.034 1.408
H 2.053 0.063 3.690
H 2.693 -1.115 2.550
H 0.974 -1.150 3.034

E_HOMO: -11.50 eV
E_LUMO: 1.12 eV
SMILES: CCC.CC
Total charge: 0

***

Relative to the most stable structure, the computed energies are *1* 71.4; *2* 10.9; *3* 0.0, all in kJ/mol.

***

*1*
Density functional theory data (ωB97M-V with the def2-TZVPD basis set) for 2 unconnected molecules or ions with the total composition C5H14.

Positions of all 19 atoms, in Å:
C 0.292 1.773 2.011
C 0.023 1.312 0.588
C 0.367 2.340 -0.544
H 1.364 1.989 2.133
H 0.069 1.037 2.702
H -0.371 2.668 2.226
H 0.640 0.396 0.413
H -1.087 1.095 0.433
H -0.486 3.108 -0.564
H 1.251 2.873 -0.204
H 0.386 1.858 -1.497
C -1.011 -2.728 -1.145
C 0.433 -2.403 -0.745
H -1.536 -3.580 -0.700
H -1.616 -1.869 -0.783
H -1.025 -2.892 -2.165
H 0.430 -1.762 0.169
H 1.090 -3.350 -0.625
H 0.788 -1.867 -1.705

E_HOMO: -11.24 eV
E_LUMO: 1.11 eV
SMILES: CCC.CC
Total charge: 0

***

*2*
Density functional theory data (ωB97M-V with the def2-TZVPD basis set) for 2 unconnected molecules or ions with the total composition C5H14.

Positions of all 19 atoms, in Å:
C 1.017 1.638 1.912
C -0.247 1.587 1.026
C 0.025 1.761 -0.463
+++
“Debbie, it’s all God’s Story,” Nancy, one truly amazing friend, said to me. “All we have done is to ask God what His plan is each day. God leads, equips and makes life interesting. Every Christian should have a story worth telling.”
Do I?
“God doesn’t need us,” her husband Marc said. “The thing He does though is open up a space for us to be needed.” That’s when it becomes God’s story. And that’s a story worth sharing (like theirs).
It took a lot of hard knocks to learn that I could plan my day and then let it go God’s way. Once I began to trust just that, life hasn’t been the same since. How do I explain that to people when they ask, “What’s on your agenda for the day?”
What if all we need to do is ask God what His plans are each morning then let go and let Him lead? I guess I don’t believe in coincidences anymore. I believe in a “God who so loved the world…” Nancy says that’s the part of John 3:16 we often brush past.
He so loves us.
Marc, who was a preacher for sixty years, says that one day it won’t be a pastor giving the sermon. It will be people telling their stories that people can relate to, their testimonies of how God transformed their lives.
That morning, I thought it was odd I couldn’t find my cap. I’d stopped to take pictures and figured it had fallen out of my pocket, I even looked on the heads of the kids at the swing sets. But I couldn’t find it.
As Fannie and I walked home, I kept thinking I saw it, shadows were deceiving.
Maybe you can imagine, it had been a wonderful walk, but finding that silly cap was like icing on the cake! And that’s the best way I can describe the feeling I have in the small ordinary moments of my days as I surrender to one big extraordinary God.
Inserted here: quantum chemistry results:
## i
A structure of composition C30H26N5O7S4Sc. Source: the OMol25 dataset; level of theory: ωB97M-V/def2-TZVPD.

Calculated values
2S+1 ... 2
Lowest unoccupied orbital energy (alpha / beta) ... 2.27 / 2.27 eV
Charge ... -1
Frontier orbital gap (alpha / beta) ... 4.71 / 5.73 eV

Each line ends with the Löwdin spin population.
Atoms and positions in Å:
Sc -0.244 -0.463 0.541  0.02
O -0.184 2.116 -3.052  0.22
C -0.185 1.695 -1.887  0.18
N -0.121 0.228 -1.645  0.01
C 0.493 -0.499 -2.772  0.00
C -0.556 -1.468 -3.226  -0.01
C -0.589 -2.337 -4.274  0.00
C -1.712 -3.156 -4.455  -0.01
C -2.771 -3.045 -3.564  0.00
C -2.727 -2.144 -2.520  -0.01
N -1.617 -1.381 -2.356  0.00
C -0.197 2.451 -0.704  0.13
C -0.255 3.870 -0.765  0.06
C -0.228 4.600 0.382  0.05
C -0.141 3.927 1.623  0.13
C -0.107 2.550 1.610  0.00
N -0.149 1.802 0.505  0.17
H 1.405 -1.010 -2.468  0.00
H 0.718 0.225 -3.556  0.00
H 0.267 -2.392 -4.933  0.00
H -1.750 -3.862 -5.273  0.00
H -3.658 -3.654 -3.672  0.00
H -3.510 -1.979 -1.797  0.00
H -0.310 4.323 -1.745  0.00
H -0.266 5.683 0.346  0.00
H -0.106 4.459 2.562  0.01
H -0.053 2.002 2.542  0.00
O -0.285 -2.014 4.381  0.00
S 0.314 -1.323 3.268  0.00
O 0.630 -2.150 2.109  0.00
O -0.495 -0.190 2.763  0.00
C 1.839 -0.638 3.905  0.00
C 1.833 -0.405 5.276  0.00
C 2.942 0.129 5.911  0.00
C 4.072 0.429 5.171  0.00
C 4.083 0.203 3.804  0.00
C 2.978 -0.328 3.151  0.00
S 3.175 -0.527 1.367  0.00
O 3.420 -1.937 1.132  0.00
O 4.270 0.339 1.014  0.00
O 1.890 -0.053 0.823  0.00
H 0.946 -0.662 5.837  0.00
H 2.920 0.307 6.979  0.00
H 4.946 0.846 5.655  0.00
H 4.948 0.453 3.206  0.00
S -1.953 -3.205 0.639  0.00
C -2.799 -2.802 2.037  0.00
N -2.518 -3.439 3.205  0.00
C -3.099 -3.170 4.397  0.00
C -4.074 -2.232 4.485  0.00
C -4.419 -1.529 3.307  0.00
C -3.803 -1.798 2.122  0.00
H -1.727 -4.067 3.165  0.00
H -2.718 -3.723 5.241  0.00
H -4.535 -2.014 5.435  0.00
H -5.172 -0.753 3.350  0.00
H -4.015 -1.246 1.218  0.00
S -2.615 0.246 -0.348  0.01
C -1.383 -0.453 -1.349  0.01
N 1.068 -2.775 -0.395  0.00
C 1.306 -3.552 -1.547  0.00
C 0.422 -4.564 -1.923  0.00
C 0.663 -5.320 -3.058  0.00
C 1.781 -5.081 -3.846  0.00
C 2.666 -4.078 -3.472  0.00
C 2.439 -3.325 -2.331  0.00
H 1.952 -2.527 0.053  0.00
H 0.512 -3.303 0.264  0.00
H -0.456 -4.753 -1.316  0.00
H -0.038 -6.099 -3.332  0.00
H 1.965 -5.672 -4.734  0.00
H 3.552 -3.888 -4.066  0.00
H 3.146 -2.563 -2.022  0.00

---

## ii
A structure of composition C30H26N5O7S4Sc. Source: the OMol25 dataset; level of theory: ωB97M-V/def2-TZVPD.

Calculated values
2S+1 ... 2
Lowest unoccupied orbital energy (alpha / beta) ... 2.49 / 2.16 eV
Charge ... -1
Frontier orbital gap (alpha / beta) ... 6.04 / 6.89 eV

Each line ends with the Löwdin spin population.
Atoms and positions in Å:
Sc -0.302 -0.156 -0.223  -0.01
O -2.921 -2.617 -2.626  0.00
C -2.361 -1.754 -1.939  0.00
N -1.066 -1.577 -1.710  0.01
C -0.207 -2.644 -2.183  0.02
C 0.036 -3.744 -1.168  0.16
C 0.176 -5.042 -1.564  0.01
C 0.386 -6.093 -0.659  0.24
C 0.391 -5.778 0.704  0.01

One hat found!

/*
1.
47
Properties=species:S:1:pos:R:3:forces:R:3:lowdin_charge:R:1 method="wB97M-V/def2-TZVPD" homo_ev=-10.9766 smiles="CCOS(C)(=O)=O.O=C1OCCO1.O=C1OCCO1.O.O.O.O" mol_weight_g_mol=372.3 total_energy_ev=-47174.99741 charge=0
C 0.396 0.816 1.307 -1.40 -0.52 -0.09 -0.08
C 1.498 1.738 0.911 0.50 0.05 0.13 -0.22
O 2.664 0.882 0.726 -0.19 -0.05 0.12 -0.26
S 4.037 1.536 0.332 -0.16 0.13 -0.17 0.55
C 3.794 1.835 -1.387 -0.23 0.20 -0.01 -0.10
O 4.164 2.784 1.012 0.13 0.25 0.05 -0.27
O 5.006 0.507 0.502 0.26 -0.33 -0.03 -0.27
H 0.344 -0.038 0.630 0.42 -0.04 0.13 0.05
H -0.598 1.269 1.202 0.27 0.42 0.14 0.08
H 0.459 0.447 2.329 0.29 0.04 0.02 0.09
H 1.288 2.266 -0.020 -0.06 -0.09 -0.06 0.12
H 1.737 2.467 1.684 -0.02 0.02 -0.06 0.12
H 3.553 0.904 -1.892 0.05 -0.03 0.00 0.06
H 4.683 2.292 -1.810 0.09 0.00 0.10 0.08
H 2.956 2.527 -1.462 0.06 0.01 -0.15 0.07
O 1.218 -0.757 -1.292 -0.50 0.08 -0.23 0.15
C 2.211 -1.401 -1.375 0.71 -0.05 0.32 -0.58
O 3.002 -1.462 -2.469 -0.14 -0.01 0.07 0.05
C 3.991 -2.476 -2.271 -0.05 -0.28 0.17 -0.10
C 3.992 -2.677 -0.749 0.26 0.08 -0.48 -0.10
O 2.739 -2.115 -0.357 -0.30 -0.16 -0.21 0.06
H 3.666 -3.383 -2.783 -0.02 0.07 -0.07 0.13
H 4.938 -2.155 -2.693 0.01 0.15 0.08 0.13
H 4.791 -2.140 -0.243 -0.02 0.04 0.04 0.12
H 4.019 -3.737 -0.513 -0.06 0.03 0.26 0.13
O -5.923 -0.882 4.633 -0.32 -0.35 0.48 0.18
C -5.141 -0.554 3.814 0.17 0.38 -0.58 -0.58
O -5.479 -0.083 2.587 0.13 0.05 0.01 0.06
C -4.323 0.412 1.921 0.29 0.16 -0.25 -0.12
C -3.152 -0.047 2.803 -0.38 0.18 0.04 -0.11
O -3.800 -0.574 3.961 0.11 -0.02 0.14 0.06
H -4.286 0.035 0.903 -0.05 -0.20 0.08 0.11
H -4.359 1.502 1.862 -0.19 -0.04 0.13 0.13
H -2.550 0.806 3.108 0.20 -0.12 0.02 0.12
H -2.539 -0.828 2.364 0.03 -0.01 -0.09 0.11
O -2.222 0.019 -0.944 0.00 0.19 0.16 -0.05
H -1.318 0.034 -0.611 0.11 0.04 -0.05 0.02
H -2.619 -0.757 -0.522 -0.03 -0.21 -0.19 0.00
O -3.021 3.137 -1.889 -0.09 0.11 0.04 -0.06
H -3.220 2.334 -2.377 0.16 -0.07 -0.05 0.02
H -3.170 2.895 -0.971 0.02 -0.05 0.03 0.02
O -3.020 -2.457 0.292 0.11 0.04 0.11 -0.03
H -2.135 -2.747 0.539 0.04 -0.07 0.02 0.06
H -3.437 -3.241 -0.078 -0.11 0.02 -0.06 0.07
O -1.286 0.511 -3.723 0.03 0.07 -0.08 -0.06
H -2.085 0.254 -4.190 -0.01 -0.04 -0.04 0.03
H -1.466 0.299 -2.799 -0.11 -0.08 0.02 -0.02

2.
116
Properties=species:S:1:pos:R:3:forces:R:3:lowdin_charge:R:1 method="wB97M-V/def2-TZVPD" homo_ev=-14.5407 mol_weight_g_mol=1086.0 de_lowest_kcal_mol=0.00 total_energy_ev=-106245.11415 charge=+3
Ta 14.626 12.412 12.591 1.61 -0.49 3.16 1.99
N 9.462 15.723 17.496 0.47 1.85 -1.24 0.11
C 10.542 14.914 17.147 -1.21 -1.56 0.06 -0.31
C 10.339 13.542 16.761 0.39 0.67 0.35 0.01
C 11.445 12.749 16.453 -0.59 1.61 -1.15 -0.04
C 12.691 13.410 16.302 -0.24 0.26 0.83 -0.30
C 12.917 14.664 16.897 0.61 -0.60 -1.15 -0.04
C 11.829 15.398 17.327 0.70 0.50 0.26 -0.03
S 13.912 12.444 15.525 -0.45 -1.49 0.49 0.76
O 13.259 11.971 14.196 0.91 0.76 -0.18 -0.47
O 14.117 11.332 16.426 0.72 0.84 -1.39 -0.23
N 15.103 13.276 14.745 -2.50 -1.33 -0.19 -0.18
*/
One happy girl.
I like it. I understand. In building my little cabin in the woods, I have the sequence of the building planned. Yet tomorrow I will be helping someone else shingle their roof (I got a “could use some help” text). It seemed the right choice. It could rain or any number of things, and the Lord will use me differently than planned. There is quite a principle of living life while waking with the Lord in this post Deb
Gary, and surely the walk you’re on. You’re always an inspiration.
Oh Deb I needed to hear this story today. I cherished and loved it. Nancy and Marc have played an important part in my life. They have helped me understand Gods word and how to pray. I love them both. Your dad and mom have also played an important part I’m my life. Deb thank you for this story God Bless you. Love the pictures also.❤️
JoAnn, Marc and Nancy have surely done the same for me. Not to mention my parents. I’m so glad the little story blessed you. Thank you so much for reading and sharing that day with me, then taking the time to comment!❤️❤️